14 September 2016, Reuters, Climate change ‘significant and direct’ threat to U.S. military: reports. The effects of climate change endanger U.S. military operations and could increase the danger of international conflict, according to three new documents endorsed by retired top U.S. military officers and former national security officials. “There are few easy answers, but one thing is clear: the current trajectory of climatic change presents a strategically-significant risk to U.S. national security, and inaction is not a viable option,” said a statement published on Wednesday by the Center for Climate and Security, a Washington-based think tank. It was signed by more than a dozen former senior military and national security officials, including retired General Anthony Zinni, former commander of the U.S. Central Command, and retired Admiral Samuel Locklear, head of the Pacific Command until last year. They called on the next U.S. president to create a cabinet level position to deal with climate change and its impact on national security. A separate report by a panel of retired military officials, also published on Wednesday by the Center for Climate and Security, said more frequent extreme weather is a threat to U.S. coastal military installations. “The complex relationship between sea level rise, storm surge and global readiness and responsiveness must be explored down to the operational level, across the Services and Joint forces, and up to a strategic level as well,” the report said. Earlier this year, another report said faster sea level rises in the second half of this century could make tidal flooding a daily occurrence for some installations. Francesco Femia, co-founder and president of the Center for Climate and Security, said the reports show bipartisan national security and military officials think the existing U.S. response to climate change “is not commensurate to the threat”. Read More here
14 September 2016, Renew Economy, Turnbull marks 1st anniversary with act of clean energy vandalism. Today is the anniversary of Malcolm Turnbull’s overthrow of Tony Abbott as leader of the Liberal Party, and his ascension as prime minister of Australia. To punctuate 12 months of false expectations, the occasion has been marked with another act of vandalism against Australia’s climate and clean energy policies. It had been hoped that Turnbull would represent a turnaround in the debate about Australia’s role in the global efforts to control global warming, and whether Australia would be moved to seize its huge opportunity to become a renewable energy powerhouse and a leader in the inevitable clean energy transition. But rather than taking us to the promised land – “I will not lead a party that does not take climate change as seriously as I do” – things have only got worse. Turnbull has persisted with Abbott’s deluded and deceitful Direct Action policy, and has sought to neuter two important institutions – the Climate Change Authority and the Australian Renewable Energy Agency – that had managed to escape the wrath of Abbott’s “climate change is crap” demagoguery. The CCA – which survived Abbott courtesy of a bizarre deal with Clive Palmer and Al Gore that led to the death of the carbon price – has, since Turnbull’s coronation, been stacked with ex-Coalition MPs and sympathisers and the original architects of Direct Action, who now praise a policy that was ridiculed by the once fiercely independent authority, and described as a “con” and a “fig leaf” by Turnbull himself. ARENA, which also managed to dodge Abbott’s toe-cutters, has instead been knee-capped by the Turnbull administration, stripped of $500 million of funding to slow down its ability to provide new competitors to the incumbent fossil fuel industry. Read More here
13 September 2016, Renew Economy, Coalition, Labor agree to slash $500m from ARENA budget. The Australian Renewable Energy Agency will have its funding slashed by $500 million after Labor and the Coalition agreed on Tuesday to a compromise deal on the government’s omnibus budget repair package. As RenewEconomy flagged last week, the compromise came after ARENA sought to strike a last-minute compromise on its funding position, in an effort to continue its support of critical research and early stage development in new renewable energy and storage technologies. Several scenarios were reportedly outlined by the Agency’s board, including that the cuts be reduced to $300 million or $500 million. The Agency has been awaiting news of its fate since March, when the Turnbull-led Coalition proposed to essentially de-fund it and replace it with a new “Clean Energy Innovation Fund.” The two mainstream parties finally agreed on stripping $500 million from the remaining $1.3 billion legislated budget in the agency that was created by Labor in 2012, but which the Coalition has spent three years trying to dismantle, along with the Climate Council, the Climate Change Authority, the carbon price, and originally the renewable energy target and the Clean Energy Finance Corporation. There has also been a furious public and industry-based campaign to save ARENA, both from state governments, the renewable energy industry, NGOs, and researchers, who warn that Australia will face an exodus of R&D capabilities and new technologies if the cuts go ahead. Just last week, ARENA announced the 12 large-scale PV projects that won grants in what many thought might be the agency’s last major funding round. The tender was credited for reducing solar PV costs by 40 per cent, and a similar program is being sought for large-scale solar thermal with storage. Labor says it will seek talks with the Coalition over the funding priorities for ARENA. Both parties had expressed interest in solar thermal with storage, which is considered a critical new technology for a high renewables grid. In the meantime, the party is taking credit for “saving” ARENA. But others are not so complimentary, like the Greens, who described Labor as “clean energy charlatans” because of the move. “Labor had absolutely no reason to cut half a billion dollars out of ARENA,” climate change spokesman Adam Bandt said. “If Bill Shorten had joined with the Greens and the crossbench, we could have stared the Coalition down and found fairer places to raise revenue.” Read more here
Someone pasted records of molecules at this point =
=====
[1]
Here is a structure of composition C55H77BrN10O4PSSbSiTeV at a distorted geometry from the OMol25 dataset. Energies are from ωB97M-V/def2-TZVPD.

Each line ends with the Mulliken charge.
CARTESIAN COORDINATES (ANGSTROEM)
1 V 1.3030 0.5890 0.6226  0.200
2 Br 3.4072 5.0335 -6.5205  -0.285
3 C 4.2078 5.1819 -4.7928  0.113
4 C 4.2731 6.4210 -4.1730  -0.464
5 C 4.8613 6.5257 -2.9298  -0.028
6 C 5.3955 5.4047 -2.2591  -0.364
7 C 5.2892 4.1584 -2.9160  0.159
8 C 4.7142 4.0531 -4.1666  -0.429
9 N 6.0672 5.6403 -1.0849  -0.912
10 N 6.3301 4.6571 -0.2408  -0.646
11 C 5.4556 3.6418 0.0237  0.216
12 C 6.0060 2.4759 0.5708  -0.261
13 C 5.2647 1.3245 0.8546  -0.881
14 C 3.9069 1.3098 0.6354  0.642
15 O 3.0910 0.2414 0.8398  -0.867
16 C 3.2947 2.4905 0.1751  -0.875
17 N 1.9457 2.3870 -0.0125  1.880
18 C 1.2686 3.4465 -0.3952  -0.378
19 C 1.8748 4.6890 -0.5757  -1.357
20 C 3.2383 4.7979 -0.4274  -0.793
21 C 4.0136 3.6704 -0.1128  0.986
22 H 3.8601 7.2958 -4.6600  0.372
23 H 4.9199 7.4870 -2.4346  0.436
24 H 5.6708 3.2699 -2.4334  0.256
25 H 4.6500 3.0876 -4.6503  0.396
26 H 7.0769 2.4778 0.7258  0.366
27 H 5.7478 0.4341 1.2376  0.529
28 H 0.2098 3.2918 -0.5665  -0.001
29 H 1.2716 5.5474 -0.8354  0.512
30 H 3.7224 5.7565 -0.5443  0.700
31 N -3.3124 3.3728 7.5776  -0.601
32 C -2.3519 3.1688 6.5756  0.502
33 C -2.7300 2.6835 5.3248  -0.704
34 C -1.7959 2.5408 4.3135  0.902
35 C -0.4716 2.8708 4.5478  -0.510
36 C -0.0802 3.3476 5.7872  -1.070
37 C -1.0179 3.4983 6.7967  -0.860
38 S 0.7456 2.7738 3.2617  1.859
39 O 2.0257 2.6075 3.8955  -0.874
40 O 0.5379 3.9441 2.4425  -0.869
41 N 0.3253 1.4934 2.3490  0.955
42 C 0.4708 0.2746 2.9904  0.140
43 N 0.7204 -0.7571 2.1435  0.967
44 C 1.0392 -1.9262 2.6966  0.019
45 C 1.0375 -2.1138 4.0668  -1.482
46 C 0.6763 -1.0215 4.8347  -0.628
47 N 0.3930 0.1669 4.3167  -0.458
48 H -4.1320 2.7928 7.4832  0.239
49 H -2.9420 3.3367 8.5150  0.222
50 H -3.7647 2.4095 5.1503  0.121
51 H -2.0880 2.1711 3.3383  -0.104
52 H 0.9610 3.5793 5.9582  0.611
53 H -0.7108 3.8634 7.7698  0.293
54 H 1.3211 -2.7206 2.0112  0.368
55 H 1.3177 -3.0657 4.4918  0.477
56 H 0.6215 -1.0909 5.9174  0.453
57 O -1.4900 1.0585 0.1085  0.805
58 P -2.9012 1.3608 0.4118  -2.318
59 N -3.7867 1.4880 -0.9944  1.189
60 C -3.1097 1.3118 -2.2940  0.748
61 C -4.2560 1.1769 -3.2981  -0.895
62 C -5.4291 1.8581 -2.6010  -0.920
63 C -5.2300 1.4130 -1.1579  -0.456
64 N -3.5790 0.1792 1.3669  1.151
65 C -2.6605 -0.6328 2.1919  0.757
66 C -3.5814 -1.3993 3.1485  -0.846
67 C -4.9498 -1.3212 2.4774  -0.634
68 C -4.9246 0.0953 1.9204  -0.414
69 N -3.0444 2.7955 1.2486  0.578
70 C -4.2866 3.3154 1.8340  0.060
71 C -4.3416 4.7732 1.3858  -0.825
72 C -2.8648 5.1461 1.3363  -0.812
73 C -2.2386 3.9110 0.7055  0.634
74 H -2.4556 0.4422 -2.2823  -0.608
75 H -2.4902 2.1853 -2.5120  0.262
76 H -4.4887 0.1227 -3.4632  0.099
77 H -4.0068 1.6217 -4.2601  0.464
78 H -6.4043 1.5784 -3.0003  0.444
79 H -5.3216 2.9439 -2.6607  0.323
80 H -5.6042 0.3850 -1.0306  0.175
=====
End of the records of molecules =
13 September 2016, Renew Economy, Interminable climate argument is costing us solutions for our future. It is fair to say that people are getting fairly tired of the climate change debate in Australia. Whenever the issue emerges, all you see and hear is heated disagreement. Usually name calling then ensues – “environment evangelists”, “big polluters” and political “sell outs” become all too common catch phrases. These are points that avoid addressing the fundamentals of what we are trying to achieve.That is, to make effective, pragmatic decisions and to take action now that will address the economic and safety challenges climate change is confronting us with. It’s not a difficult concept. And we have to play a credible part in assisting the rest of the world to do this.Yet, over the last week or so, we have seen tiresome name calling return after the Climate Change Authority – the Parliament’s climate change advisory group – released a report that suggested a fresh approach to these decisions and actions. It was asked to outline a pathway for the current Parliament to agree on a policy framework that would actually stop Australia’s emissions from continuing to increase, so they would start to fall, in line with the international commitments Australia has made under the Paris climate agreement last year. This is an agreement around 180 countries of the world have entered into in an historic attempt to deliver economic prosperity and safety to all of us. This report was quickly followed by a dissenting report from two of the Authority’s own members, which stated that the Climate Change Authority had not gone far enough and had made compromises for political expediency. They said it had failed in its own mandate to provide rigorous independent science-based advice to the Australian community. The merry go round continued. Once again we fell into discussing the merits of “emissions intensity schemes” and other arcane policy solutions. Read More here